Catholic hospital ‘misled’ Charity Commission
THE fashionable Catholic Hospital of St John and St Elizabeth misled the Charity Commission over plans to allow doctors to refer women for abortions, a damning report has revealed.
The findings of a nine-month inquiry by the charity regulator are severely critical of the former board of the Hospital of St John and St Elizabeth, St John’s Wood, north London.
But Cardinal Cormac Murphy-O’Connor is largely exonerated because the findings show how he strived to retain the Catholic identity of the hospital and resisted efforts to sell it.
Two doctors resigned after Cardinal Murphy-O’Connor drew up a revision to the code of ethics, stopping abortion referrals and offers of contraception on the site.
The row began when the private hospital began searching for extra money to pay for a £12million redevelopment.
The Charity Commission’s report, released at the end of last month, said executives misled them as they gained permission to sub-let part of the facility to a GP practice – a move which would have brought in thousands of pounds in rent.
It said some board members had given assurances that the St John’s Wood Medical Practice would comply with the hospital’s code of ethics, even though it was known at an early stage that the doctors moving in intended to prescribe contraceptives and the morning-after pill, and to refer patients for abortions.
The board had submitted a draft sub-lease to the commission which said the GPs would abide by Catholic teaching but ?later changed the terms without telling anyone.
The commissioner’s report said: “The inquiry found that the hospital board had misled the Commission over the terms of the then draft sub-lease and the GP practice’s ability to comply with the code of ethics.
/*
1.
# TaTlV2O8
Theoretical X-ray powder pattern, Cu Ka. Input: a crystal structure in the Materials Project, relaxed with PBE+U.
No peak broadening, texture or thermal motion is included.

Crystal structure
```
data_TaTlV2O8
_cell_length_a 15.135
_cell_length_b 5.679
_cell_length_c 9.126
_cell_angle_alpha 90.00
_cell_angle_beta 90.00
_cell_angle_gamma 90.00
_space_group_name_H-M_alt 'P n m a'
_space_group_IT_number 62
_space_group_name_Hall '-P 2ac 2n'
loop_
_atom_site_label
_atom_site_type_symbol
_atom_site_fract_x
_atom_site_fract_y
_atom_site_fract_z
Ta1 Ta 0.159 0.250 0.005
Tl1 Tl 0.105 0.250 0.560
V1 V 0.062 0.750 0.816
V2 V 0.160 0.750 0.256
O1 O 0.035 0.250 0.078
O2 O 0.040 0.750 0.637
O3 O 0.053 0.750 0.290
O4 O 0.126 0.005 0.858
O5 O 0.188 0.002 0.151
O6 O 0.219 0.750 0.425
```

Principal peaks in the range 2θ from 10° to 80°, low angle first:
19.5 deg, I = 68, (2 1 0); 23.5 deg, I = 26, (4 0 0); 25.5 deg, I = 29, (3 1 1); 25.7 deg, I = 21, (1 1 2); 27.7 deg, I = 100, (2 1 2); 30.7 deg, I = 12, (4 0 2); 31.1 deg, I = 12, (5 0 1); 31.5 deg, I = 28, (0 2 0); 39.1 deg, I = 14, (6 1 0); 46.0 deg, I = 17, (7 1 1); 49.6 deg, I = 11, (2 3 0); 53.8 deg, I = 16, (2 3 2)

---

2.
# Ta2VO6
Theoretical X-ray powder pattern, Cu Ka. Input: a crystal structure in the Materials Project, relaxed with PBE+U.
No peak broadening, texture or thermal motion is included.

Crystal structure
```
data_Ta2VO6
_cell_length_a 4.841
_cell_length_b 4.841
_cell_length_c 9.246
_cell_angle_alpha 90.00
_cell_angle_beta 90.00
_cell_angle_gamma 90.00
_space_group_name_H-M_alt 'P 42/m n m'
_space_group_IT_number 136
_space_group_name_Hall '-P 4n 2n'
loop_
_atom_site_label
_atom_site_type_symbol
_atom_site_fract_x
_atom_site_fract_y
_atom_site_fract_z
Ta1 Ta 0.000 0.000 0.169
V1 V 0.000 0.000 0.500
O1 O 0.185 0.185 0.000
O2 O 0.206 0.206 0.321
```

Principal peaks in the range 2θ from 10° to 80°, low angle first:
19.2 deg, I = 12, (0 0 2); 20.7 deg, I = 31, (1 0 1); 26.0 deg, I = 100, (1 1 0); 32.5 deg, I = 12, (1 1 2); 34.5 deg, I = 78, (1 0 3); 37.1 deg, I = 24, (2 0 0); 51.6 deg, I = 64, (2 1 3); 53.5 deg, I = 17, (2 2 0); 60.5 deg, I = 16, (3 1 0); 65.3 deg, I = 19, (3 0 3); 66.5 deg, I = 18, (1 1 6); 77.6 deg, I = 14, (3 2 3)

---

3.
# Ta9V2O25
Theoretical X-ray powder pattern, Cu Ka. Input: a crystal structure in the Materials Project, relaxed with PBE+U.
No peak broadening, texture or thermal motion is included.

Crystal structure
```
data_Ta9V2O25
_cell_length_a 15.926
_cell_length_b 15.926
_cell_length_c 3.986
_cell_angle_alpha 90.00
_cell_angle_beta 90.00
_cell_angle_gamma 90.00
_space_group_name_H-M_alt 'I 4/m'
_space_group_IT_number 87
_space_group_name_Hall '-I 4'
loop_
_atom_site_label
_atom_site_type_symbol
_atom_site_fract_x
_atom_site_fract_y
_atom_site_fract_z
Ta1 Ta 0.000 0.000 0.000
Ta2 Ta 0.099 0.222 0.000
Ta3 Ta 0.125 0.680 0.000
V1 V 0.000 0.500 0.250
O1 O 0.000 0.000 0.500
O2 O 0.015 0.720 0.000
O3 O 0.050 0.117 0.000
O4 O 0.060 0.416 0.500
*/
“The severity of this issue was reflected by the need to open the inquiry and revealed serious governance issues which subsequently led to resignations from the hospital board.”
The board had earlier rejected advice from commissioners to find alternative tenants to the GP practice. Directors had also ignored the wishes of Cardinal Murphy-O’Connor, the hospital’s patron, to implement another revision to the code of ethics, upholding Catholic teaching on the sanctity of human life.
Soon afterwards, the Cardinal demanded the resignations of all but three of the 13 board members and replaced them with a new team.
The report said: “It appeared to the inquiry that the hospital board’s decision to sell the hospital may have been based on its inability to agree an alternative way of resolving the difficulties faced, not because the hospital board considered this to be in the best interests of the hospital charity.”
Commissioners also criticised the board for failing to co-operate with the inquiry and for a lack of transparency. They revealed they had to use their legal powers to force the board to provide information and again to suspend the entry of the GP surgery earlier this year.
The Commission has tried to resolve the problems by advising the new board that staff are legally required to take “reasonable” rather than “all possible” steps to honour the institution’s Catholic character.
Nicolas Bellord, secretary of Restituta, a group campaigning to retain the Catholic identity of the hospital, said the report makes clear that the entry of the GP practice “was only made possible by misleading the Charity Commission itself”.
He said that in terms of Catholic teaching the latest code of ethics was “completely inadequate”, and added: “We are concerned about the Commission’s erroneous interpretation of the objects of the charity suggesting that Catholic doctrine only has to be followed where it is ‘reasonable’ – who decides what is reasonable?”
A spokesman for Cardinal Murphy-O’Connor said that “the Cardinal remains, and always has been, committed to the Hospital of St John and St Elizabeth operating as a Catholic institution in the delivery of its important healthcare mission based on the teachings of the Catholic Church”.
Andrew Hind, chief executive of the Charity Commission, said it was important for the public to know that when a “serious problem arises and we have a regulatory role, we act to ensure charity assets are protected and charities are put on a proper footing to continue their work”.
He added: “As a result of the Charity Commission’s intervention and the work done by the board of the St John and Elizabeth Charity, the charity is better positioned to secure a viable future.”
A hospital spokesman said: “Any problems are now historic.
“The hospital has a new board and has now moved on.” |